• Work order:
Could you say how many lines of the contents underneath hold the word "wB97M-V", as a bare number?
• Excerpt:
┌──
{"formula": "C24H25BF6FeN2O5S", "method": "wB97M-V/def2-TZVPD", "elements": ["Fe", "O", "C", "O", "C", "C", "C", "C", "C", "N", "C", "O", "O", "H", "H", "H", "H", "H", "F", "C", "C", "C", "C", "C", "F", "C", "C", "C", "C", "C", "C", "N", "H", "H", "H", "H", "H", "H", "C", "C", "C", "S", "O", "C", "C", "C", "H", "H", "H", "H", "H", "H", "H", "H", "H", "H", "H", "H", "H", "H", "F", "B", "F", "F", "F"], "positions_angstrom": [[-0.80314, -1.24108, 0.03140], [0.73772, 2.03922, 3.08247], [0.53512, 0.92214, 2.37667], [-0.67618, 0.55473, 1.91414], [1.58497, 0.03191, 2.10552], [2.91080, 0.21899, 2.58668], [3.88042, -0.66717, 2.20124], [3.55337, -1.73896, 1.35443], [2.22474, -1.87744, 0.96154], [1.27435, -1.02510, 1.31957], [1.67694, -2.99631, 0.13249], [2.50365, -3.82235, -0.47447], [0.47335, -3.13550, 0.03377], [-0.08362, 2.49872, 3.31335], [3.10358, 1.05305, 3.24102], [4.89590, -0.54412, 2.54370], [4.32958, -2.42631, 1.05538], [3.43623, -3.59569, -0.34722], [-2.23336, 4.75548, 0.36744], [-2.50093, 3.52687, 0.80767], [-1.44034, 2.73478, 1.21263], [-1.69573, 1.43533, 1.63127], [-3.00814, 0.92947, 1.71744], [-4.03068, 1.78800, 1.30418], [-5.29648, 1.37175, 1.34375], [-3.80226, 3.06786, 0.82960], [-3.26708, -0.43600, 2.21306], [-4.41017, -0.74207, 2.95574], [-4.58933, -2.03656, 3.41660], [-3.60408, -2.98126, 3.17486], [-2.49342, -2.58888, 2.43971], [-2.33495, -1.36262, 1.96651], [-0.43614, 3.11681, 1.13396], [-4.61427, 3.67370, 0.46267], [-5.15184, 0.00963, 3.17070], [-5.48487, -2.30105, 3.96088], [-3.69532, -3.99355, 3.54017], [-1.69208, -3.28201, 2.22370], [2.09703, -1.38480, -3.58382], [1.57000, -0.20274, -4.38894], [0.26496, 0.34782, -3.83910], [0.27471, 1.18502, -2.19593], [0.60647, 0.14544, -1.15083], [1.79314, 2.27380, -2.41304], [3.13804, 1.73652, -1.94560], [3.23812, 1.74507, -0.42796], [3.05648, -1.70758, -3.98457], [1.39691, -2.21354, -3.63655], [2.22015, -1.12329, -2.53461], [1.37608, -0.53088, -5.41362], [2.32855, 0.57998, -4.44963], [-0.46824, -0.44831, -3.73542], [-0.13932, 1.10915, -4.50450], [1.55722, 3.18126, -1.85494], [1.80284, 2.51727, -3.47395], [3.92594, 2.36805, -2.36612], [3.30653, 0.72595, -2.31451], [3.12225, 2.75520, -0.04412], [4.20205, 1.36104, -0.10760], [2.46095, 1.11613, -0.00987], [-2.34510, 0.01217, -1.35647], [-2.65002, -1.31026, -1.84651], [-1.37625, -1.83745, -2.18846], [-3.01389, -2.01575, -0.69475], [-3.52192, -1.31965, -2.84286]], "nbo_charge": [1.690, -0.640, 0.622, -0.492, 0.047, -0.178, -0.161, -0.237, 0.068, -0.486, 0.806, -0.610, -0.644, 0.518, 0.247, 0.241, 0.220, 0.504, -0.295, 0.462, -0.391, 0.311, -0.145, 0.466, -0.295, -0.346, 0.181, -0.211, -0.136, -0.235, 0.066, -0.534, 0.249, 0.265, 0.241, 0.236, 0.239, 0.204, -0.619, -0.411, -0.584, 1.239, -1.089, -0.566, -0.419, -0.615, 0.217, 0.222, 0.200, 0.230, 0.201, 0.265, 0.239, 0.228, 0.239, 0.226, 0.214, 0.205, 0.215, 0.215, -0.581, 1.310, -0.569, -0.555, -0.504], "e_homo_ev": [-10.3, -11.8], "charge": 1, "homo_lumo_gap_ha": [0.2543, 0.2893], "spin_multiplicity": 6, "lumo_energy_ev": [-3.34, -3.93]}



{"formula": "C3H8ClNS", "method": "wB97M-V/def2-TZVPD", "elements": ["C", "N", "C", "C", "S", "H", "H", "H", "H", "H", "H", "H", "Cl", "H"], "positions_angstrom": [[-1.06349, -1.10090, 0.60401], [-0.47125, 0.12035, 0.22277], [-0.81617, 0.49458, -1.11407], [0.46230, 0.82809, 0.88860], [1.05919, 2.23798, 0.38791], [-2.14004, -1.02553, 0.33215], [-0.71512, -2.06601, -0.06286], [-0.74656, -1.39797, 1.52020], [-0.19639, 1.38777, -1.39071], [-0.58500, -0.27847, -1.78746], [-1.85130, 0.70397, -1.11786], [0.79302, 0.49214, 1.87524], [3.27713, -0.83827, -0.18632], [2.99367, 0.44227, -0.17159]], "nbo_charge": [-0.389, -0.383, -0.435, -0.069, -0.174, 0.209, 0.183, 0.214, 0.248, 0.202, 0.199, 0.212, -0.306, 0.291], "e_homo_ev": -8.5, "homo_lumo_gap_ha": 0.3386, "smiles": "CN(C)C=S.Cl", "lumo_energy_ev": 0.69}
└──
• Outcome:
2